What is a good way to find impact investment opportunities that are currently crowdfunding?
Thanks for the great question. With nearly 90 FINRA regulated funding portals and thousands of broker dealers all eligible to facilitate issuers for their crowdfunding raises, you aren't alone in looking for deals that meet certain characteristics (e.g. impact investments). Luckily, there do exist aggregators that collect data about live offerings and sort them into categories.
KingsCrowd is one such aggregator and you can find companies with live offerings that they've sorted as having "Social Impact" by clicking on this link: https://kingscrowd.com/companies/search/?social_impact=true&status=Active I believe they have a team of analysts that tag issuers with certain labels to make them easier to sort.
Another place where you can learn more generally about companies operating at the intersection of impact investing and crowdfunding is at the SuperCrowd conference where companies, including impact companies with live offerings, pitch, present, and discuss case studies. It's a major gathering of leaders in this sector and you can find more info here: https://thesupercrowd.com
**Inserted here: quantum chemistry results:**
No. 1
Below is one molecule with the formula C25H35N5O4 in a non-equilibrium geometry, with properties calculated with ωB97M-V with the def2-TZVPD basis set.

CARTESIAN COORDINATES (ANGSTROEM)
C -1.175 -1.760 -5.365
C -0.415 -1.644 -4.044
C 1.066 -1.397 -4.311
C -1.041 -0.535 -3.189
C -0.549 -0.509 -1.737
N -1.596 -0.032 -0.858
C -1.299 0.339 0.399
O -0.193 0.193 0.898
C -2.408 0.956 1.140
N -3.671 1.140 0.656
C -4.314 1.790 1.580
N -3.530 2.048 2.660
C -2.307 1.508 2.403
C -1.067 1.693 3.207
O -0.545 2.794 3.269
N -0.577 0.598 3.817
C -1.249 -0.688 3.835
C -0.215 -1.789 4.106
N 0.927 -1.645 3.243
C 0.945 -2.227 1.982
C -0.113 -2.982 1.471
C -0.018 -3.590 0.233
C 1.125 -3.462 -0.536
C 2.185 -2.722 -0.038
C 2.102 -2.123 1.201
C 1.617 -0.373 3.421
C 0.794 0.599 4.277
C 0.685 0.395 -1.561
O 1.812 -0.022 -1.545
O 0.311 1.662 -1.502
C 1.267 2.720 -1.227
C 2.005 2.442 0.081
C 0.401 3.972 -1.092
C 2.239 2.849 -2.399
H -0.751 -2.551 -5.978
H -2.225 -1.986 -5.193
H -1.112 -0.827 -5.921
H -0.519 -2.590 -3.500
H 1.477 -2.200 -4.919
H 1.203 -0.460 -4.847
H 1.626 -1.348 -3.382
H -0.862 0.436 -3.656
H -2.122 -0.699 -3.168
H -0.242 -1.514 -1.417
H -2.504 0.214 -1.223
H -5.340 2.091 1.516
H -3.777 2.571 3.485
H -1.720 -0.872 2.867
H -2.026 -0.693 4.613
H 0.131 -1.734 5.143
H -0.667 -2.771 3.970
H -1.038 -3.093 2.017
H -0.860 -4.159 -0.138
H 1.192 -3.932 -1.506
H 3.085 -2.609 -0.622
H 2.950 -1.569 1.571
H 1.766 0.081 2.439
H 2.593 -0.532 3.900
H 0.830 0.335 5.339
H 1.178 1.613 4.158
H 2.640 1.566 -0.020
H 1.285 2.259 0.876
H 2.616 3.301 0.344
H -0.189 4.120 -1.993
H 1.030 4.843 -0.931
H -0.273 3.863 -0.246
H 1.692 3.031 -3.323
H 2.917 3.679 -2.223
H 2.817 1.936 -2.507

As for the SMILES: CC(C)C[C@H](NC(=O)c1nc[nH]c1C(=O)N1CCN(c2ccccc2)CC1)C(=O)OC(C)(C)C. For the HOMO energy, the calculation gives -7.43 eV. For the energy relative to the best compared isomer or geometry (same formula, charge and spin), the calculation gives 1.539 eV.

***

No. 2
Below is a 2-piece molecular cluster, C29H47N3O8PS overall in a non-equilibrium geometry, with properties calculated with ωB97M-V with the def2-TZVPD basis set.

CARTESIAN COORDINATES (ANGSTROEM)
O -1.972 -1.119 6.623
C -2.058 -1.781 5.622
C -0.856 -2.284 4.850
C -1.139 -2.342 3.330
C -2.054 -1.201 2.858
N -1.963 -1.034 1.367
C -2.531 -2.244 0.661
C -1.583 -3.044 -0.256
O -0.690 -3.732 0.159
C -1.877 -2.973 -1.725
C -1.859 -1.759 -2.401
C -2.167 -1.718 -3.749
C -2.509 -2.875 -4.432
C -2.507 -4.084 -3.752
C -2.199 -4.142 -2.405
C -0.558 -0.602 1.021
C -0.489 0.935 1.273
C -0.575 1.746 -0.038
C -2.038 1.832 -0.489
C -2.430 2.992 -1.405
C -3.898 2.750 -1.861
C -4.882 3.838 -1.412
C -5.043 3.727 0.116
S -6.582 2.998 0.725
C -6.209 1.302 0.604
N -6.086 0.524 1.626
N -5.815 -0.746 1.135
C -5.798 -0.630 -0.145
O -6.038 0.615 -0.562
C 0.465 -1.238 1.986
O 0.039 -2.450 2.566
H -3.070 -2.016 5.231
H 0.014 -1.653 5.013
H -0.705 -3.313 5.178
H -1.688 -3.273 3.159
H -1.827 -0.268 3.372
H -3.088 -1.447 3.090
H -2.577 -0.248 1.154
#impactinvesting #socialimpact @Devin Thorpe @Brian Belley
Thanks for the great question. With nearly 90 FINRA regulated funding portals and thousands of broker dealers all eligible to facilitate issuers for their crowdfunding raises, you aren't alone in looking for deals that meet certain characteristics (e.g. impact investments). Luckily, there do exist aggregators that collect data about live offerings and sort them into categories.
KingsCrowd is one such aggregator and you can find companies with live offerings that they've sorted as having "Social Impact" by clicking on this link: https://kingscrowd.com/companies/search/?social_impact=true&status=Active I believe they have a team of analysts that tag issuers with certain labels to make them easier to sort.
Molecular data, as found in the file =
{
  "formula": "C4H9N",
  "method": "ωB97M-V/def2-TZVPD",
  "homo_ha": -0.312,
  "charge": 0,
  "fmax_ev_per_a": 3.170,
  "de_lowest_ev": 1.487,
  "smiles": "CN1CCC1",
  "orbital_gap_ev": 9.737,
  "species": ["C", "C", "C", "C", "H", "H", "H", "H", "H", "H", "H", "H", "H", "N"],
  "coordinates": [[-1.702725, 0.175966, 0.662768], [0.549858, 0.961061, -0.234152], [1.562229, -0.140240, -0.341538], [0.311627, -1.093861, -0.073223], [-2.274118, -0.796289, 0.880440], [-1.315803, 0.456714, 1.682780], [-2.368722, 0.947368, 0.410322], [0.484655, 1.424439, 0.786883], [0.650778, 1.883382, -0.890017], [2.087093, -0.198360, -1.333409], [2.273786, -0.151443, 0.482017], [0.194908, -1.368672, 0.976343], [0.153615, -1.952583, -0.737746], [-0.601732, 0.048270, -0.334392]],
  "forces_ev_per_angstrom": [[1.4, -1.5, 1.1], [-1.0, 2.8, 1.1], [-0.2, -1.1, -0.1], [0.3, 0.6, -0.7], [0.9, 1.3, -1.0], [0.1, -0.1, -0.6], [-1.0, 0.9, -0.6], [0.6, -0.3, -0.4], [-0.5, -1.3, 0.1], [-0.7, -0.2, 1.0], [0.2, 0.0, -0.3], [0.5, -0.4, 0.1], [0.1, 0.1, 0.3], [-0.8, -0.6, 0.0]],
  "mulliken_charge": [-0.95, -0.33, -0.50, -0.45, 0.29, 0.35, 0.33, 0.21, 0.28, 0.24, 0.22, 0.29, 0.26, -0.23]
}


{
  "formula": "C4H9N",
  "method": "ωB97M-V/def2-TZVPD",
  "homo_ha": -0.284,
  "charge": 0,
  "fmax_ev_per_a": 6.826,
  "de_lowest_ev": 12.004,
  "orbital_gap_ev": 5.933,
  "species": ["C", "N", "C", "C", "C", "H", "H", "H", "H", "H", "H", "H", "H", "H"],
  "coordinates": [[-1.843411, -0.355109, -0.310246], [2.292116, -0.092887, 0.227154], [0.855972, -0.265809, -0.224712], [-0.348598, -0.888169, 0.649286], [0.601573, 1.236367, 0.156967], [-0.141878, -1.675000, 1.209169], [-1.613809, -1.034568, -1.139354], [-2.926568, -0.157079, -0.023134], [2.754155, -0.517124, -0.509526], [0.513508, -0.327628, -1.196568], [-1.467128, -0.815954, 0.776192], [1.101911, 1.784503, -0.709185], [0.792114, 1.745870, 1.178333], [-0.569957, 1.362587, -0.084377]],
  "forces_ev_per_angstrom": [[1.1, -0.7, -0.1], [-5.8, -1.7, 1.5], [0.7, 0.8, 5.4], [2.2, 4.2, -4.9], [-1.7, 3.8, -1.8], [0.6, -3.3, 2.9], [-0.3, 0.6, 0.2], [1.9, -0.5, 0.4], [1.9, -0.5, -2.4], [0.2, -0.3, -2.5], [-2.3, -0.3, 1.0], [-0.4, -0.1, 1.6], [0.0, -1.5, -1.7], [1.8, -0.4, 0.4]],
  "mulliken_charge": [-0.93, -0.61, 0.14, -0.68, -0.82, 0.47, 0.22, 0.30, 0.25, 0.39, 0.33, 0.31, 0.29, 0.35]
}


{
  "formula": "C4H9N",
  "method": "ωB97M-V/def2-TZVPD",
  "homo_ha": -0.335,
  "charge": 0,
  "fmax_ev_per_a": 3.458,
  "de_lowest_ev": 1.306,
  "smiles": "C=C[C@H](C)N",
  "orbital_gap_ev": 10.325,
  "species": ["C", "C", "C", "C", "H", "H", "H", "H", "H", "H", "H", "H", "H", "N"],
Another place where you can learn more generally about companies operating at the intersection of impact investing and crowdfunding is at the SuperCrowd conference where companies, including impact companies with live offerings, pitch, present, and discuss case studies. It's a major gathering of leaders in this sector and you can find more info here: https://thesupercrowd.com
____________
60
Properties=species:S:1:pos:R:3:lowdin_charge:R:1 method="wB97M-V/def2-TZVPD" e_tot_ha=-2031.38298 mol_weight_g_mol=508.4 charge=-1 homo_lumo_gap_ev=6.5
C 6.3720 1.6458 2.4467 -0.130
O 5.1347 1.7684 1.6602 -0.270
C 5.3838 1.6932 0.2101 -0.218
C 4.7002 2.8993 -0.6649 -0.185
C 3.7097 3.8970 0.2019 -0.211
C 2.3611 3.0589 0.6125 -0.221
C 1.1047 3.9948 1.1301 -0.219
C -0.3710 3.4175 0.6988 -0.197
C -0.9120 2.1576 1.5974 -0.158
N 0.1637 1.3595 2.2999 -0.098
F -0.2166 1.3790 3.6280 -0.072
C 0.0680 -0.1396 1.9486 -0.200
C 1.0626 -0.5896 0.7256 -0.050
C 0.0236 -1.0055 -0.6629 -0.193
C -0.4340 0.3592 -1.6338 -0.035
O 0.6618 -0.7857 -2.0729 -0.199
C 0.6142 -0.9210 3.3228 -0.428
O 1.9437 -0.8106 3.5495 -0.166
O -0.2862 -1.6360 4.2481 -0.291
H 7.2939 2.2228 2.0138 0.090
H 6.6162 0.5092 2.5919 0.100
H 6.1292 2.0966 3.5227 0.109
H 6.5569 1.6020 0.0531 0.116
H 4.9105 0.6618 -0.1584 0.133
H 4.0411 2.3780 -1.5082 0.114
H 5.5680 3.5066 -1.2047 0.107
H 4.2450 4.4414 1.0959 0.118
H 3.3739 4.7501 -0.5598 0.108
H 1.9483 2.4685 -0.3393 0.108
H 2.5828 2.2898 1.4870 0.120
H 1.2284 5.0370 0.5611 0.101
H 1.1773 4.2806 2.2866 0.126
H -1.1401 4.3111 0.8860 0.109
H -0.3479 3.2334 -0.4566 0.095
H -1.4777 1.4159 0.8708 0.110
H -1.6602 2.5621 2.4048 0.134
H -1.0450 -0.5024 1.8107 0.144
H 1.6961 0.3005 0.2975 0.094
H 1.6996 -1.5593 0.9436 0.127
H -0.8266 -1.9133 -0.4992 0.146
H -1.5451 0.0215 -1.7892 0.091
H -0.0252 1.1075 -0.8324 0.058
C -4.1382 -4.7309 -1.0256 -0.052
C -5.0505 -5.2775 -2.1343 -0.431
C -4.5324 -5.0703 -3.5524 -0.291
F -4.3841 -3.7633 -3.8643 0.086
F -5.4104 -5.5772 -4.4607 0.085
F -6.2990 -4.7610 -1.9793 0.122
F -5.1804 -6.6260 -1.9214 0.097
O -4.4782 -3.4416 -0.5070 0.037
C -3.9870 -2.3330 -1.2578 -0.478
C -5.1080 -1.4892 -1.8785 -0.262
F -5.8937 -2.2270 -2.7037 0.084
F -4.6005 -0.4763 -2.6304 0.091
F -3.0909 -2.7748 -2.1716 0.118
F -3.2779 -1.5756 -0.3773 0.125
H -4.2548 -5.4051 -0.1674 0.153
H -3.0752 -4.8015 -1.2840 0.148
H -3.5751 -5.5763 -3.7040 0.175
H -5.7471 -1.0566 -1.1036 0.176

=====
____________
#impactinvesting #socialimpact @Devin Thorpe @Brian Belley
We created a shorter URL for the KingsCrowd search: http://screen.impactcherub.com. We created it for members of the Impact Cherub Club, a group of friends who invest for impact via crowdfunding. We're having a ball and making a difference while we make a few pennies.
It is a great question and one that Raise Green, the climate investment platform, is dedicated to -- I am a cofounder and CIO at Raise Green. We are the first investment CF marketplace in the US dedicated to inclusive finance focused on demonstrable environmental benefits. Raise Green is on a mission to accelerate the clean energy transition and democratize access to both raising capital and investing. It is easy to find us - raisegreen.com!
And a shout out for both KingsCrowd and the SuperCrowd22 event as excellent avenues to learn more about opportunities in the impact space. Don't miss them!